-- Request --
What is needed: return only the lines underneath with the word "degrees" in them.

-- Listing --
********
Starting from the PBE geometry in the Materials Project, the X-ray diffraction stick pattern of ZrCrCuS4 was calculated for a wavelength of 1.5418 Å.
Peak positions follow from Bragg's law for the DFT cell and can differ from measured ones.

```
ZrCrCuS4
1.0
6.059 0.000 0.000
0.000 3.583 0.000
-0.045 0.000 11.694
Zr Cr Cu S
2 2 2 8
direct
0.018 0.000 0.255
0.982 0.000 0.745
0.488 0.500 0.242
0.512 0.500 0.758
0.000 0.000 0.000
0.500 0.500 0.500
0.174 0.500 0.874
0.182 0.500 0.383
0.344 0.000 0.123
0.356 0.000 0.639
0.644 0.000 0.361
0.656 0.000 0.877
0.818 0.500 0.617
0.826 0.500 0.126
```

Most intense lines, 15° ≤ 2θ ≤ 90°, most intense first:
d (Å)	I_rel
2.122	100
2.726	49
3.084	41
1.759	38
5.383	32
5.847	31
1.791	26
2.108	25
2.694	24
2.100	21

----------

(1)
The following is a computed powder diffraction line list of Pm3Nd2Sn6. It was derived from the PBE geometry in Alexandria, using Cu Ka.

Structural model:
```
data_Pm3Nd2Sn6
_chemical_formula_sum 'Pm6 Nd4 Sn12'
_cell_length_a 5.9560
_cell_length_b 5.9560
_cell_length_c 22.1679
_cell_angle_alpha 90.00
_cell_angle_beta 90.00
_cell_angle_gamma 90.00
_space_group_name_H-M_alt 'I 4/m m m'
_space_group_IT_number 139
_space_group_name_Hall '-I 4 2'
loop_
_atom_site_label
_atom_site_fract_x
_atom_site_fract_y
_atom_site_fract_z
Pm1 0.0000 0.0000 0.0000
Pm2 0.0000 0.0000 0.1483
Nd1 0.0000 0.0000 0.4235
Sn1 0.0000 0.0000 0.2871
Sn2 0.0000 0.5000 0.0706
```

Top 12 peaks for 5 to 70 degrees two-theta, in order of rising 2θ:
index, Position (°2θ), I_rel
0 0 2, 7.98, 48
1 1 0, 21.09, 27
1 1 2, 22.58, 16
2 0 0, 30.01, 100
1 0 7, 32.01, 73
1 1 6, 32.25, 23
1 1 8, 38.88, 15
2 2 0, 42.95, 38
2 1 7, 44.44, 59
3 0 7, 54.56, 16
3 2 7, 63.52, 21
2 0 14, 66.93, 19

(2)
The following is a computed powder diffraction line list of La5B4Rh15. It was derived from the PBE geometry in Alexandria, using Cu Ka.

Structural model:
```
data_La5B4Rh15
_chemical_formula_sum 'La5 B4 Rh15'
_cell_length_a 4.2895
_cell_length_b 4.2895
_cell_length_c 20.9570
_cell_angle_alpha 90.00
_cell_angle_beta 90.00
_cell_angle_gamma 90.00
_space_group_name_H-M_alt 'P 4/m m m'
_space_group_IT_number 123
_space_group_name_Hall '-P 4 2'
loop_
_atom_site_label
_atom_site_fract_x
_atom_site_fract_y
_atom_site_fract_z
La1 0.0000 0.0000 0.0000
La2 0.0000 0.0000 0.2024
La3 0.0000 0.0000 0.4046
B1 0.5000 0.5000 0.1029
B2 0.5000 0.5000 0.3106
Rh1 0.0000 0.5000 0.1017
Rh2 0.0000 0.5000 0.3037
Rh3 0.0000 0.5000 0.5000
Rh4 0.5000 0.5000 0.0000
Rh5 0.5000 0.5000 0.2051
Rh6 0.5000 0.5000 0.4097
```

Top 12 peaks for 5 to 70 degrees two-theta, in order of rising 2θ:
index, Position (°2θ), I_rel
1 0 0, 20.71, 1
1 1 0, 29.45, 1
1 0 5, 29.80, 1
1 1 5, 36.57, 100
0 0 9, 38.67, 1
1 1 6, 39.34, 1
2 0 0, 42.13, 36
0 0 10, 43.17, 16
2 1 5, 52.45, 1
2 0 9, 58.51, 1
2 2 0, 61.11, 12
2 0 10, 61.90, 21

Q: Number 2 is which compound?
A: La5B4Rh15

----------

1.
The following is a simulated powder X-ray diffraction pattern of BaVZn. It was derived from the GGA-PBE geometry in Alexandria, using Cu Ka.

Top 8 peaks for 2θ from 15° to 90°, low angle first:
2theta, d [Å], I/Imax
23.96, 3.713, 32
25.76, 3.459, 55
26.08, 3.417, 57
30.08, 2.971, 100
33.98, 2.638, 45
40.23, 2.242, 46
40.80, 2.212, 28
51.81, 1.765, 37

Atomic structure:
```
BaVZn
1.0
4.424 0.000 0.000
0.000 6.833 0.000
0.000 0.000 12.033
Ba V Zn
4 4 4
direct
0.000 0.000 0.173
0.000 0.000 0.827
0.500 0.500 0.327
0.500 0.500 0.673
0.000 0.135 0.500
0.000 0.865 0.500
0.500 0.365 0.000
0.500 0.635 0.000
0.000 0.500 0.106
0.000 0.500 0.894
0.500 0.000 0.394
0.500 0.000 0.606
```

***

2.
The following is a simulated powder X-ray diffraction pattern of Ba2VZn2. It was derived from the GGA-PBE geometry in Alexandria, using Cu Ka.

Top 8 peaks for 2θ from 15° to 90°, low angle first:
2theta, d [Å], I/Imax
22.26, 3.993, 28
27.62, 3.230, 100
29.72, 3.006, 55
35.76, 2.511, 33
39.45, 2.284, 38
49.85, 1.829, 19
50.16, 1.819, 25
64.51, 1.444, 17

Atomic structure:
```
Ba2VZn2
1.0
6.460 0.000 0.000
********

-- Reply --
Top 12 peaks for 5 to 70 degrees two-theta, in order of rising 2θ:
Top 12 peaks for 5 to 70 degrees two-theta, in order of rising 2θ: